Excerpt:
LaReCl2: PBEsol geometry, meta-GGA SCAN.

Magnetization   0.0000 μB per atom
Offset from the most stable computed form   0.2483 eV/atom
Raw formation energy   -1.22 eV/f.u.

Lattice parameters (Å, degrees): 3.1825 3.1825 8.4197 90.00 90.00 90.00
Last column: nearest neighbours and their distance in Å.
Fractional positions:
La  0.0000  0.0000  0.0000  4 Cl 2.92, 4 La 3.18, 4 Re 3.22
Re  0.5000  0.5000  0.7273  4 Cl 2.54
Cl  0.0000  0.0000  0.5864  4 Re 2.54
Cl  0.5000  0.5000  0.2212  4 La 2.92, 4 Cl 3.18

Zr2InTc: PBEsol geometry, meta-GGA SCAN.

Calculated formation energy   -0.511 eV/atom
Magnetization   0.0003 μB per atom
Offset from the most stable computed form   0.0000 eV/atom

Lattice parameters (Å, degrees): 3.3036 3.3036 7.0769 90.00 90.00 90.00
Last column: nearest neighbours and their distance in Å.
Fractional positions:
Zr  0.0000  0.0000  0.2180  4 Tc 2.80, 4 In 3.07, 1 Zr 3.09
Zr  0.0000  0.0000  0.7820  4 Tc 2.80, 4 In 3.07, 1 Zr 3.09
In  0.5000  0.5000  0.5000  8 Zr 3.07, 4 In 3.30
Tc  0.5000  0.5000  0.0000  8 Zr 2.80

LiTcAg2: PBEsol geometry, meta-GGA SCAN.

Calculated formation energy   0.463 eV/atom
Magnetization   0.6538 μB per atom
Offset from the most stable computed form   0.2156 eV/atom

Lattice parameters (Å, degrees): 4.4457 4.4457 4.4457 60.00 60.00 60.00
Last column: nearest neighbours and their distance in Å.
Fractional positions:
Li  0.0000  0.0000  0.0000  8 Ag 2.72
Tc  0.5000  0.5000  0.5000  8 Ag 2.72
Ag  0.2500  0.2500  0.2500  4 Tc 2.72, 4 Li 2.72
Ag  0.7500  0.7500  0.7500  4 Tc 2.72, 4 Li 2.72

Y2FeRh: PBEsol geometry, meta-GGA SCAN.

Calculated formation energy   -0.338 eV/atom
Magnetization   0.4172 μB per atom

Lattice parameters (Å, degrees): 7.0611 7.0611 7.0611 33.04 33.04 33.04
Last column: nearest neighbours and their distance in Å.
Fractional positions:
Y  0.0000  0.0000  0.0000  3 Rh 2.91, 3 Fe 2.98
Y  0.1818  0.1818  0.1818  3 Fe 2.91, 3 Rh 2.99
Fe  0.7605  0.7605  0.7605  3 Rh 2.32
Rh  0.4210  0.4210  0.4210  3 Fe 2.32

CsBe2Au: PBEsol geometry, meta-GGA SCAN.

Calculated formation energy   1.237 eV/atom
Magnetization   0.0000 μB per atom

Lattice parameters (Å, degrees): 4.9240 4.9240 4.9240 60.00 60.00 60.00
Last column: nearest neighbours and their distance in Å.
Fractional positions:
Cs  0.0000  0.0000  0.0000  8 Be 3.02
Be  0.2500  0.2500  0.2500  4 Au 3.02, 4 Cs 3.02
Be  0.7500  0.7500  0.7500  4 Cs 3.02, 4 Au 3.02
Au  0.5000  0.5000  0.5000  8 Be 3.02

AlCuPt: PBEsol geometry, meta-GGA SCAN.

Calculated formation energy   -0.754 eV/atom
Magnetization   0.0000 μB per atom

Lattice parameters (Å, degrees): 4.6632 4.6632 4.6632 145.30 135.62 57.53
Last column: nearest neighbours and their distance in Å.
Fractional positions:
Al  0.0000  0.0000  0.0000  5 Cu 2.60-2.77, 5 Pt 2.61-2.76, 2 Al 2.78
Cu  0.3393  0.3393  0.0000  5 Al 2.60-2.77, 5 Pt 2.64-2.67, 2 Cu 2.78
Pt  0.6628  0.6628  0.0000  5 Al 2.61-2.76, 5 Cu 2.64-2.67, 2 Pt 2.78

~~~~~

4
Lattice="2.280 1.316 6.729 -2.280 1.316 6.729 0.000 -2.633 6.729" Properties=species:S:1:pos:R:3 comment="PBE CaSeCl2, optimized geometry" n_ef_per_ev_cell=1.021 space_group=R3m final_energy_ev_per_atom=-3.27 relative_energy_ev_per_fu=1.71 pbc="T T T"
Ca 0.000 0.000 0.000
Se 0.000 0.000 5.007
Cl 0.000 0.000 10.733
Cl 0.000 0.000 14.502

***

4
Lattice="4.621 0.000 0.000 0.000 4.621 0.000 0.000 0.000 4.257" Properties=species:S:1:pos:R:3 comment="PBE CaSeCl2, optimized geometry" n_ef_per_ev_cell=3.075 space_group=P4/mmm final_energy_ev_per_atom=-3.29 relative_energy_ev_per_fu=1.67 pbc="T T T"
Ca 0.000 0.000 0.000
Se 2.310 2.310 0.000
Cl 0.000 2.310 2.128
Cl 2.310 0.000 2.128

To do:
Repeat only the lines further above with the word "pos" in them.

Worked solution:
Lattice="2.280 1.316 6.729 -2.280 1.316 6.729 0.000 -2.633 6.729" Properties=species:S:1:pos:R:3 comment="PBE CaSeCl2, optimized geometry" n_ef_per_ev_cell=1.021 space_group=R3m final_energy_ev_per_atom=-3.27 relative_energy_ev_per_fu=1.71 pbc="T T T"
Lattice="4.621 0.000 0.000 0.000 4.621 0.000 0.000 0.000 4.257" Properties=species:S:1:pos:R:3 comment="PBE CaSeCl2, optimized geometry" n_ef_per_ev_cell=3.075 space_group=P4/mmm final_energy_ev_per_atom=-3.29 relative_energy_ev_per_fu=1.67 pbc="T T T"